rule on records
(Between two parts of the article: records of crystals)
-- begin --
(1)
For Nb6OsAu, a cell relaxed with GGA-PBE gives the simulated powder diffractogram in this record (CuKα).

The 9 most intense peaks (5 to 70 degrees two-theta), low angle first:
two_theta  d/Å  I (rel.)
24.16  3.684  23
34.43  2.605  45
38.65  2.330  57
42.50  2.127  100
49.49  1.842  4
55.80  1.647  6
61.68  1.504  1
64.49  1.445  12
67.24  1.392  51

Cell and atoms:
Cell lengths 5.2097, 5.2097, 5.2097 Å; angles 90.00, 90.00, 90.00 degrees
Element x y z (fractional)
1 Nb 0.0000 0.2551 0.5000
2 Nb 0.0000 0.7449 0.5000
3 Nb 0.2551 0.5000 0.0000
4 Nb 0.5000 0.0000 0.2551
5 Nb 0.5000 0.0000 0.7449
6 Nb 0.7449 0.5000 0.0000
7 Os 0.5000 0.5000 0.5000
8 Au 0.0000 0.0000 0.0000

***

(2)
For NdAu6, a cell relaxed with GGA-PBE gives the simulated powder diffractogram in this record (CuKα).

The 12 most intense peaks (5 to 70 degrees two-theta), low angle first:
two_theta  d/Å  I (rel.)
35.05  2.560  52
35.37  2.538  60
35.63  2.520  79
36.06  2.490  73
38.01  2.367  100
38.33  2.348  93
39.34  2.290  46
39.47  2.283  48
40.19  2.244  77
40.62  2.221  42
41.04  2.199  57
67.01  1.397  48

Cell and atoms:
Cell lengths 5.5874, 5.5874, 9.3182 Å; angles 97.46, 97.46, 89.71 degrees
Element x y z (fractional)
1 Nd 0.1844 0.8156 0.7500
2 Nd 0.8156 0.1844 0.2500
3 Au 0.0407 0.6643 0.1282
4 Au 0.1160 0.2784 0.5807
5 Au 0.2784 0.1160 0.0807
6 Au 0.3357 0.9593 0.3718
7 Au 0.3440 0.4577 0.3639
8 Au 0.4577 0.3440 0.8639
9 Au 0.5423 0.6560 0.1361
10 Au 0.6560 0.5423 0.6361
11 Au 0.6643 0.0407 0.6282
12 Au 0.7216 0.8840 0.9193
13 Au 0.8840 0.7216 0.4193
14 Au 0.9593 0.3357 0.8718

***

(3)
For NdAu3, a cell relaxed with GGA-PBE gives the simulated powder diffractogram in this record (CuKα).

The 12 most intense peaks (5 to 70 degrees two-theta), low angle first:
two_theta  d/Å  I (rel.)
15.74  5.629  4
31.79  2.814  20
36.92  2.435  100
40.43  2.231  1
42.49  2.128  1
46.61  1.949  2
49.56  1.839  12
52.26  1.750  2
56.65  1.625  15
66.44  1.407  2
66.60  1.404  15
69.58  1.351  28

Cell and atoms:
Cell lengths 6.4997, 6.4997, 4.8607 Å; angles 90.00, 90.00, 120.00 degrees
Element x y z (fractional)
1 Nd 0.3333 0.6667 0.2500
2 Nd 0.6667 0.3333 0.7500
3 Au 0.1560 0.3119 0.7500
4 Au 0.1560 0.8440 0.7500
5 Au 0.3119 0.1560 0.2500
6 Au 0.6881 0.8440 0.7500
7 Au 0.8440 0.1560 0.2500
8 Au 0.8440 0.6881 0.2500

***

(4)
For NdAu3, a cell relaxed with GGA-PBE gives the simulated powder diffractogram in this record (CuKα).

The 6 most intense peaks (5 to 70 degrees two-theta), low angle first:
two_theta  d/Å  I (rel.)
21.79  4.079  1
25.21  3.533  1
35.95  2.498  100
42.43  2.130  1
51.76  1.766  18
64.63  1.442  37

Cell and atoms:
Cell lengths 7.0651, 7.0651, 7.0651 Å; angles 90.00, 90.00, 90.00 degrees
Element x y z (fractional)
1 Nd 0.0000 0.0000 0.0000
2 Nd 0.0000 0.5000 0.5000
3 Nd 0.5000 0.0000 0.5000
4 Nd 0.5000 0.5000 0.0000
5 Au 0.0000 0.0000 0.5000
6 Au 0.0000 0.5000 0.0000
7 Au 0.2500 0.2500 0.2500
8 Au 0.2500 0.2500 0.7500
9 Au 0.2500 0.7500 0.2500
-- stop --

Here the page breaks off for data records >
<<<
Record 1
Calculated X-ray powder pattern
Compound: BaSr3Cd4
Radiation: Cu Kα, 1.54184 Å
Structure: a cell relaxed with GGA-PBE
Neutral-atom scattering factors, no anomalous dispersion.

Structural model:
Unit cell a=11.682 b=8.148 c=5.840 alpha=90.00 beta=90.00 gamma=90.00
Atoms (fractional coordinates):
Ba1 0.000 0.000 0.000
Ba2 0.500 0.000 0.000
Sr1 0.000 0.500 0.000
Sr2 0.250 0.000 0.499
Sr3 0.250 0.500 0.499
Sr4 0.500 0.500 0.000
Sr5 0.750 0.000 0.501
Sr6 0.750 0.500 0.501
Cd1 0.000 0.260 0.500
Cd2 0.000 0.740 0.500
Cd3 0.250 0.260 0.998
Cd4 0.250 0.740 0.998
Cd5 0.500 0.260 0.500
Cd6 0.500 0.740 0.500
Cd7 0.750 0.260 0.002
Cd8 0.750 0.740 0.002

Main lines, in order of rising 2θ (15 to 90 degrees two-theta):
d (Å)  2θ/deg  I (rel.)
2.920  30.61  51.4
2.900  30.83  100.0
2.065  43.84  18.8
1.682  54.55  38.4
1.671  54.96  18.3
1.450  64.23  11.3

Record 2
Calculated X-ray powder pattern
Compound: KSeF4
Radiation: Cu Kα, 1.54184 Å
Structure: a cell relaxed with GGA-PBE
Neutral-atom scattering factors, no anomalous dispersion.

Structural model:
Unit cell a=5.606 b=5.606 c=5.606 alpha=106.95 beta=106.95 gamma=114.63
Atoms (fractional coordinates):
K1 0.000 0.000 0.000
Se1 0.250 0.750 0.500
F1 0.046 0.546 0.092
F2 0.046 0.954 0.500
F3 0.454 0.546 0.500
F4 0.454 0.954 0.908

Main lines, in order of rising 2θ (15 to 90 degrees two-theta):
d (Å)  2θ/deg  I (rel.)
4.484  19.80  100.0
2.677  33.48  22.3
2.548  35.22  29.1
2.359  38.15  22.1
1.770  51.65  20.3
1.731  52.89  11.6

What is the formula in the first record?
BaSr3Cd4

* * * * *

Starting from a PBE-relaxed structure, the XRD peak list of Ca2As4Rh5 was calculated for Cu Kα (λ = 1.5418 Å).
Neutral-atom scattering factors, no anomalous dispersion.

Atomic structure:
Cell: 8.938 7.942 5.700 Å, 80.02 61.06 38.91°
Atoms (fractional coordinates):
Ca: 0.126 0.126 0.874
Ca: 0.874 0.874 0.126
As: 0.211 0.535 0.465
As: 0.465 0.789 0.211
As: 0.535 0.211 0.789
As: 0.789 0.465 0.535
Rh: 0.000 0.000 0.500
Rh: 0.250 0.250 0.250
Rh: 0.500 0.500 0.000
Rh: 0.500 0.500 0.500
Rh: 0.750 0.750 0.750

Most intense lines, 10 to 80 degrees two-theta, most intense first:
2θ (°), I/Imax
17.87, 100
44.43, 93
40.33, 91
36.37, 75
49.04, 66
19.15, 63
43.86, 57
36.85, 52
65.49, 46
44.02, 37
30.04, 28
61.32, 25


Starting from a PBE-relaxed structure, the XRD peak list of CaYAs2Rh2 was calculated for Cu Kα (λ = 1.5418 Å).
Neutral-atom scattering factors, no anomalous dispersion.

Atomic structure:
Cell: 4.194 4.194 8.161 Å, 90.00 90.00 120.00°
Atoms (fractional coordinates):
Ca: 0.000 0.000 0.000
Y: 0.000 0.000 0.500
As: 0.333 0.667 0.255
As: 0.667 0.333 0.745
Rh: 0.333 0.667 0.738
Rh: 0.667 0.333 0.262

Most intense lines, 10 to 80 degrees two-theta, most intense first:
2θ (°), I/Imax
33.02, 100
43.14, 59
63.63, 34
21.78, 26
55.37, 22
72.67, 19
48.83, 18
44.40, 17
10.84, 11
79.10, 9
74.49, 8
26.87, 7


Starting from a PBE-relaxed structure, the XRD peak list of Ca4Sb2As was calculated for Cu Kα (λ = 1.5418 Å).
>>>
Hypothetical question: can a hypothetical French citizen set hypothetical national records swimming for a hypothetical American team?
**Data records that have nothing to do with the article**
Computed X-ray powder pattern
Compound: NaGa6Pt3
Radiation: Cu Ka
Structure: a structure optimized by DFT (PBE)
Peak positions follow from Bragg's law for the DFT cell and can differ from measured ones.

Largest 12 diffraction maxima, by angle, 2θ = 10–90°:
| 2theta | I/Imax |
| --- | --- |
| 22.0 | 10 |
| 24.7 | 94 |
| 26.8 | 25 |
| 37.0 | 17 |
| 39.5 | 37 |
| 39.6 | 18 |
| 42.2 | 100 |
| 44.6 | 10 |
| 45.0 | 13 |
| 45.8 | 24 |
| 49.5 | 11 |
| 77.2 | 14 |

Crystal structure
Cell lengths 8.1491, 4.2834, 10.0527 Å; angles 90.00, 97.00, 90.00 degrees
Space group P2_1/m (No. 11)
Inequivalent atoms, fractional coordinates:
1 Na 0.0656 0.2500 0.2815 (multiplicity 2)
2 Ga 0.1124 0.2500 0.5910 (multiplicity 2)
3 Ga 0.1190 0.7500 0.0112 (multiplicity 2)
4 Ga 0.2896 0.7500 0.2554 (multiplicity 2)
5 Ga 0.2931 0.7500 0.7589 (multiplicity 2)
6 Ga 0.4211 0.2500 0.4264 (multiplicity 2)
7 Ga 0.4587 0.2500 0.9111 (multiplicity 2)
8 Pt 0.1512 0.2500 0.8625 (multiplicity 2)
9 Pt 0.2462 0.7500 0.5005 (multiplicity 2)
10 Pt 0.3922 0.2500 0.1544 (multiplicity 2)



Computed X-ray powder pattern
Compound: Na6Ga2Pt
Radiation: Cu Ka
Structure: a structure optimized by DFT (PBE)
Peak positions follow from Bragg's law for the DFT cell and can differ from measured ones.

Largest 12 diffraction maxima, by angle, 2θ = 10–90°:
| 2theta | I/Imax |
| --- | --- |
| 19.6 | 100 |
| 20.3 | 57 |
| 33.9 | 80 |
| 35.2 | 22 |
| 36.7 | 37 |
| 39.5 | 36 |
| 45.2 | 13 |
| 50.8 | 14 |
| 51.2 | 27 |
| 53.0 | 23 |
| 60.7 | 14 |
| 62.5 | 15 |

Crystal structure
Cell lengths 5.2844, 5.2844, 28.9874 Å; angles 90.00, 90.00, 120.00 degrees
Space group R-3m (No. 166, hexagonal axes)
Inequivalent atoms, fractional coordinates:
1 Na 0.0000 0.0000 0.0802 (multiplicity 6)
2 Na 0.0000 0.0000 0.1921 (multiplicity 6)
3 Na 0.0000 0.0000 0.3089 (multiplicity 6)
4 Ga 0.0000 0.0000 0.4164 (multiplicity 6)
5 Pt 0.0000 0.0000 0.5000 (multiplicity 3)



Computed X-ray powder pattern
Compound: Na2Ga3SiPt4
Radiation: Cu Ka
Structure: a structure optimized by DFT (PBE)
Peak positions follow from Bragg's law for the DFT cell and can differ from measured ones.

Largest 12 diffraction maxima, by angle, 2θ = 10–90°:
| 2theta | I/Imax |
| --- | --- |
| 16.8 | 59 |
| 22.9 | 78 |
| 25.3 | 24 |
| 27.2 | 26 |
| 31.4 | 63 |
| 33.3 | 42 |
| 34.8 | 75 |
| 43.3 | 73 |
| 46.1 | 100 |
| 48.2 | 20 |
| 62.9 | 24 |
| 81.4 | 39 |

Crystal structure
Cell lengths 4.1794, 4.1794, 10.5695 Å; angles 90.00, 90.00, 90.00 degrees
Space group P-4m2 (No. 115)
Inequivalent atoms, fractional coordinates:
1 Na 0.0000 0.5000 0.2460 (multiplicity 2)
2 Ga 0.0000 0.5000 0.8632 (multiplicity 2)
3 Ga 0.5000 0.5000 0.5000 (multiplicity 1)
4 Si 0.0000 0.0000 0.5000 (multiplicity 1)
5 Pt 0.0000 0.0000 0.0000 (multiplicity 1)
6 Pt 0.0000 0.5000 0.6262 (multiplicity 2)
7 Pt 0.5000 0.5000 0.0000 (multiplicity 1)



Computed X-ray powder pattern
Compound: NaPuGa4
Radiation: Cu Ka
Structure: a structure optimized by DFT (PBE)
  • Does USMS require anyone to provide proof of their age currently? Seems to me this would be the same scenario if the answer is "no." Simply have a check box for "Are you a citizen of the United States" on the registration form.USMS does not require proof of age for membership. However, the application for USMS national records does require a copy of a birth certificate or passport. In Jeff’s hypothetical situation the “foreign swimmer” could be a U.S. citizen. A U.S. citizen can register with another FINA Masters national governing body and compete under that affiliation at a USMS sanctioned event. The same rules for “foreign swimmer” would apply to this hypothetical foreign U.S. citizen at a USMS event.
  • MUD - as clear as mud. I think checking all swimmers for proof of citizenship would be a daunting task. As far as age , when we register , we now go on the honor system- yes?
  • USMS does not require proof of age for membership. However, the application for USMS national records does require a copy of a birth certificate or passport. Wouldn't that (a passport, anyway) cover the proposed proof of citizenship requirement? A copy of one's passport would show both proof of age and proof of citizenship. edit: well, maybe not. Per Wikipedia: A passport specifies nationality, but not necessarily citizenship or the place of residence of the passport holder. However, it does provide proof of U.S. citizenship: By law, a valid unexpired U.S. passport (or passport card) is conclusive (and not just prima facie) proof of U.S. citizenship, and has the same force and effect as proof of United States citizenship as certificates of naturalization or of citizenship, if issued to a U.S. citizen for the full period allowed by law.
  • Agree! We have many swimmers who are long time, legal residents who are not citizens. Do we really want to go there????? Sure. USMS is governing body for masters swimming. Not sure why it is unreasonable to expect only Americans be eligible for American records and national championships. I agree that it it is probably unenforceable like perhaps all the P.E.D. use as well. I don't care that much. I'll continue to show up and get thrashed by foreigners, sufferers of low T, the anemic that require EPO, and superior athletes. Peace.
  • Evidently Missy Franklin has the 25 backstroke record for Mars. ;) I saw nothing about interplanetary swim meets in that. I know Missy swims like she was born on Krypton, but... ???
  • Former Member
    Former Member over 9 years ago
    We have many USMS members who are citizens of other countries. It would not be practical to check everyone's citizenship; contrary to what Jeff Roddin said earlier, I don't think we could verify it only once. I think it would have to be done every year (because someone could change their citizenship). As sort of a thread hijack, :hijack: we have members who reside in other countries. Some of them are U.S. citizens, but others are not. I thought you might all like to see the list of countries to where the May-June issue of SWIMMER magazine was just mailed: Australia Bermuda Brazil Belarus Canada Finland France Germany Hong Kong Indonesia Ireland Israel Italy Japan Mexico Monaco Netherlands New Zealand Norway Poland Puerto Rico Russia Sweden Singapore South Korea Spain Switzerland Turks and Caicos Turkey Trinidad and Tobago United Kingdom U.S. Virgin Islands
  • Former Member
    Former Member over 9 years ago
    I saw nothing about interplanetary swim meets in that. I know Missy swims like she was born on Krypton, but... ??? You didn't read closely enough: Some of Missy’s recent achievements*: -Swimming World’s World Swimmer of the Year. -FINA Swimmer of the Year – 2011, 2012. -First woman to successfully swim a 25 yard backstroke on Mars. -Swept the 100 and 200 backstroke at the London Olympics. (4 Olympic golds + 1 silver altogether). -Won 6 gold medals at 2013 World Aquatics Championships in Barcelona. * One of these is completely and utterly made-up. You decide.
  • You didn't read closely enough: Ah, right you are. I saw "6 things..." and read those six things.
  • However, it may not be politically correct to call USMS records USMS world records. Maybe galactic or multiverse records would cause less turmoil. Since we haven't received any meet results from our space probes or UFOs, USMS Short Course Earth Records would do for now.
  • oh, the semantics... a "USMS National Record" may be set by any eligible member of U.S. Masters Swimming in good standing regardless of citizenship. We don't have anything called "American" records. If we did, and the key word here is "American," then I think the citizenship debate should be opened. Regardless, there are how many records set every year? (very few) By how many swimmers? (even fewer) And of those, how many might not be U.S. Citizens? (rare) Not sure this is worth too much discussion.